blob: 9a0c37a08926bb2e2def06657b4d7aa4d229a7a1 [file] [log] [blame]
= Storage Engine
== CommitLog
Commitlogs are an append only log of all mutations local to a Cassandra
node. Any data written to Cassandra will first be written to a commit
log before being written to a memtable. This provides durability in the
case of unexpected shutdown. On startup, any mutations in the commit log
will be applied to memtables.
All mutations write optimized by storing in commitlog segments, reducing
the number of seeks needed to write to disk. Commitlog Segments are
limited by the `commitlog_segment_size` option, once the size is
reached, a new commitlog segment is created. Commitlog segments can be
archived, deleted, or recycled once all its data has been flushed to
SSTables. Commitlog segments are truncated when Cassandra has written
data older than a certain point to the SSTables. Running "nodetool
drain" before stopping Cassandra will write everything in the memtables
to SSTables and remove the need to sync with the commitlogs on startup.
* `commitlog_segment_size`: The default size is 32MiB, which is
almost always fine, but if you are archiving commitlog segments (see, then you probably want a finer
granularity of archiving; 8 or 16 MiB is reasonable. `commitlog_segment_size`
also determines the default value of `max_mutation_size` in cassandra.yaml.
By default, max_mutation_size is half the size of `commitlog_segment_size`.
**NOTE: If `max_mutation_size` is set explicitly then
`commitlog_segment_size` must be set to at least twice the size of
Commitlogs are an append only log of all mutations local to a Cassandra
node. Any data written to Cassandra will first be written to a commit
log before being written to a memtable. This provides durability in the
case of unexpected shutdown. On startup, any mutations in the commit log
will be applied.
* `commitlog_sync`: may be either _periodic_ or _batch_.
** `batch`: In batch mode, Cassandra won’t ack writes until the commit
log has been fsynced to disk. It will wait
"commitlog_sync_batch_window_in_ms" milliseconds between fsyncs. This
window should be kept short because the writer threads will be unable to
do extra work while waiting. You may need to increase concurrent_writes
for the same reason.
- `commitlog_sync_batch_window_in_ms`: Time to wait between "batch"
fsyncs _Default Value:_ 2
** `periodic`: In periodic mode, writes are immediately ack'ed, and the
CommitLog is simply synced every "commitlog_sync_period"
- `commitlog_sync_period`: Time to wait between "periodic" fsyncs
_Default Value:_ 10000ms
_Default Value:_ batch
** NOTE: In the event of an unexpected shutdown, Cassandra can lose up
to the sync period or more if the sync is delayed. If using "batch"
mode, it is recommended to store commitlogs in a separate, dedicated
* `commitlog_directory`: This option is commented out by default When
running on magnetic HDD, this should be a separate spindle than the data
directories. If not set, the default directory is
_Default Value:_ /var/lib/cassandra/commitlog
* `commitlog_compression`: Compression to apply to the commitlog. If
omitted, the commit log will be written uncompressed. LZ4, Snappy,
Deflate and Zstd compressors are supported.
(Default Value: (complex option):
[source, yaml]
# - class_name: LZ4Compressor
# parameters:
* `commitlog_total_space`: Total space to use for commit logs on
If space gets above this value, Cassandra will flush every dirty CF in
the oldest segment and remove it. So a small total commitlog space will
tend to cause more flush activity on less-active columnfamilies.
The default value is the smaller of 8192, and 1/4 of the total space of
the commitlog volume.
_Default Value:_ 8192MiB
== Memtables
Memtables are in-memory structures where Cassandra buffers writes. In
general, there is one active memtable per table. Eventually, memtables
are flushed onto disk and become immutable link:#sstables[SSTables].
This can be triggered in several ways:
* The memory usage of the memtables exceeds the configured threshold
(see `memtable_cleanup_threshold`)
* The `commit-log` approaches its maximum size, and forces memtable
flushes in order to allow commitlog segments to be freed
Memtables may be stored entirely on-heap or partially off-heap,
depending on `memtable_allocation_type`.
== SSTables
SSTables are the immutable data files that Cassandra uses for persisting
data on disk.
As SSTables are flushed to disk from `memtables` or are streamed from
other nodes, Cassandra triggers compactions which combine multiple
SSTables into one. Once the new SSTable has been written, the old
SSTables can be removed.
Each SSTable is comprised of multiple components stored in separate
The actual data, i.e. the contents of rows.
An index from partition keys to positions in the `Data.db` file. For
wide partitions, this may also include an index to rows within a
A sampling of (by default) every 128th entry in the `Index.db` file.
A Bloom Filter of the partition keys in the SSTable.
Metadata about the offsets and lengths of compression chunks in the
`Data.db` file.
Stores metadata about the SSTable, including information about
timestamps, tombstones, clustering keys, compaction, repair,
compression, TTLs, and more.
A CRC-32 digest of the `Data.db` file.
A plain text list of the component files for the SSTable.
Within the `Data.db` file, rows are organized by partition. These
partitions are sorted in token order (i.e. by a hash of the partition
key when the default partitioner, `Murmur3Partition`, is used). Within a
partition, rows are stored in the order of their clustering keys.
SSTables can be optionally compressed using block-based compression.
== SSTable Versions
This section was created using the following[gist] which
utilized this original[source].
== The text is interrupted by data records ==
- - -
# C5H9F2N

2 unconnected molecules or ions with the total composition C5H9F2N (wB97M-V/def2-TZVPD, the Open Molecules 2025 dataset).

Positions of all 17 atoms, in Å:
C  -1.260  1.558  -0.096
C  -0.365  0.256  -0.349
C  1.034  0.111  0.381
C  0.543  -1.468  0.649
C  -0.928  -0.936  0.322
H  -2.365  1.140  -0.208
H  -1.287  2.573  -1.163
H  -1.098  1.989  0.994
H  -0.149  0.074  -1.476
H  1.192  0.559  1.355
H  2.164  1.184  -1.030
H  2.556  -0.812  -0.808
H  0.628  -1.962  1.618
H  -1.708  -0.608  1.156
N  2.159  0.281  -0.378
F  0.697  -2.196  -0.515
F  -1.813  -1.742  -0.451

Properties
relative energy (zero: lowest compared OMol25 entry of this formula, charge and spin) = 409.0 kJ/mol
electronic energy = -12251.1406 eV
HOMO energy = -9.00 eV
orbital gap = 9.9 eV

Results of the natural (NBO) charge analysis, in e, for atoms 1 through 8: number 1, C, carries -0.6122; number 2, C, carries -0.3129; number 3, C, carries -0.0539; number 4, C, carries 0.1730; number 5, C, carries 0.1731; number 6, H, carries 0.2214; number 7, H, carries 0.2001; number 8, H, carries 0.2227

# C60H144Br3N8O8

11 unconnected molecules or ions with the total composition C60H144Br3N8O8 (wB97M-V/def2-TZVPD, the Open Molecules 2025 dataset).

Positions of all 223 atoms, in Å:
C  4.222  10.571  -0.318
C  4.522  10.049  -1.714
C  5.643  10.983  -2.278
C  6.197  10.434  -3.572
C  6.717  8.994  -3.347
C  5.746  7.960  -2.753
N  4.929  8.582  -1.635
O  4.254  7.828  -0.727
C  6.506  6.741  -2.131
C  4.745  7.317  -3.872
C  3.166  10.240  -2.465
H  3.346  10.071  0.094
H  4.062  11.644  -0.206
H  5.013  10.374  0.405
H  6.503  11.051  -1.612
H  5.232  11.978  -2.446
H  6.968  11.093  -3.971
H  5.533  10.276  -4.422
H  7.566  9.106  -2.672
H  7.128  8.711  -4.316
H  7.192  6.294  -2.850
H  5.950  5.834  -1.893
H  7.037  7.059  -1.235
H  5.340  6.848  -4.655
H  4.288  8.146  -4.412
H  3.959  6.641  -3.535
H  3.249  9.880  -3.491
H  3.038  11.322  -2.495
H  2.352  9.820  -1.874
C  -5.562  -7.906  7.445
C  -4.923  -7.735  6.101
C  -5.375  -8.823  5.168
C  -6.908  -8.793  4.793
C  -7.315  -7.515  4.156
C  -6.911  -6.204  4.918
N  -5.403  -6.359  5.495
O  -4.831  -5.165  5.888
C  -7.753  -5.889  6.090
C  -7.118  -4.954  4.067
C  -3.333  -7.668  6.328
H  -5.094  -8.726  7.989
H  -6.626  -8.136  7.488
H  -5.448  -7.096  8.166
H  -5.137  -9.828  5.517
H  -4.840  -8.560  4.255
H  -7.532  -8.925  5.677
H  -7.271  -9.588  4.142
H  -8.377  -7.486  3.912
H  -6.801  -7.536  3.196
H  -8.748  -5.536  5.819
H  -7.231  -5.145  6.693
H  -7.946  -6.749  6.732
H  -6.624  -4.966  3.096
H  -6.929  -4.034  4.619
H  -8.167  -4.944  3.770
H  -2.868  -8.613  6.610
H  -3.100  -6.863  7.025
H  -2.843  -7.529  5.364
C  -2.692  -1.404  12.187
C  -1.372  -1.127  11.525
N  -1.150  0.405  11.228
C  -2.073  0.875  10.105
C  -1.435  1.331  12.495
C  -0.668  0.897  13.710
C  0.347  0.621  10.849
C  0.710  0.353  9.378
O  0.142  -0.813  8.765
C  0.443  -1.032  7.423
H  -2.651  -2.469  12.416
- - -
== So much for the data records ==
The version numbers, to date are:
=== Version 0
* b (0.7.0): added version to sstable filenames
* c (0.7.0): bloom filter component computes hashes over raw key bytes
instead of strings
* d (0.7.0): row size in data component becomes a long instead of int
* e (0.7.0): stores undecorated keys in data and index components
* f (0.7.0): switched bloom filter implementations in data component
* g (0.8): tracks flushed-at context in metadata component
=== Version 1
* h (1.0): tracks max client timestamp in metadata component
* hb (1.0.3): records compression ration in metadata component
* hc (1.0.4): records partitioner in metadata component
* hd (1.0.10): includes row tombstones in maxtimestamp
* he (1.1.3): includes ancestors generation in metadata component
* hf (1.1.6): marker that replay position corresponds to 1.1.5+
millis-based id (see CASSANDRA-4782)
* ia (1.2.0):
** column indexes are promoted to the index file
** records estimated histogram of deletion times in tombstones
** bloom filter (keys and columns) upgraded to Murmur3
* ib (1.2.1): tracks min client timestamp in metadata component
* ic (1.2.5): omits per-row bloom filter of column names
=== Version 2
* ja (2.0.0):
** super columns are serialized as composites (note that there is no
real format change, this is mostly a marker to know if we should expect
super columns or not. We do need a major version bump however, because
we should not allow streaming of super columns into this new format)
** tracks max local deletiontime in sstable metadata
** records bloom_filter_fp_chance in metadata component
** remove data size and column count from data file (CASSANDRA-4180)
** tracks max/min column values (according to comparator)
* jb (2.0.1):
** switch from crc32 to adler32 for compression checksums
** checksum the compressed data
* ka (2.1.0):
** new Statistics.db file format
** index summaries can be downsampled and the sampling level is
** switch uncompressed checksums to adler32
** tracks presense of legacy (local and remote) counter shards
* la (2.2.0): new file name format
* lb (2.2.7): commit log lower bound included
=== Version 3
* ma (3.0.0):
Misplaced calculated molecules:
<<<
Computed, not measured: 10 unconnected molecules or ions with the total composition C40H110N10O10 in a non-equilibrium geometry, with wB97M-V/def2-TZVPD.

Each line ends with the Löwdin charge.
Geometry (Å):
C: 2.63678 3.44725 -2.41912  -0.06
C: 1.20328 3.81635 -2.10682  -0.44
C: 1.00133 4.23165 -0.66354  -0.21
O: -0.33144 3.93835 -0.27354  -0.21
C: -0.49355 3.97481 1.12658  -0.10
N: 0.76921 4.92876 -2.99025  0.05
H: 2.70345 3.01029 -3.42225  0.06
H: 3.03948 2.73194 -1.70368  0.08
H: 3.24804 4.34860 -2.50566  0.08
H: 0.54538 2.94667 -2.25531  0.11
H: 1.16591 5.31561 -0.57217  0.13
H: 1.72805 3.74155 -0.00036  0.12
H: -1.52855 3.74926 1.36801  0.06
H: -0.28208 4.98739 1.50533  0.10
H: 0.22814 3.30711 1.60531  0.08
H: -0.20556 5.07635 -2.72107  0.04
H: 0.60633 4.49342 -3.90986  0.02
C: -3.59924 1.83648 2.31018  -0.04
C: -3.10539 0.56653 1.57782  -0.42
C: -2.71982 -0.49195 2.60475  -0.23
O: -1.60983 -0.04821 3.34992  -0.21
C: -1.46858 -0.75127 4.56769  -0.10
N: -4.09010 -0.04020 0.68394  0.04
H: -4.68671 1.90697 2.30539  0.08
H: -3.15203 2.74705 1.90743  0.04
H: -3.26364 1.82950 3.35246  0.07
H: -2.22115 0.86072 1.00446  0.12
H: -2.46036 -1.43409 2.10964  0.12
H: -3.60860 -0.62172 3.24181  0.14
H: -2.06513 -0.24612 5.33451  0.09
H: -0.42403 -0.70583 4.88929  0.08
H: -1.69169 -1.81657 4.45394  0.07
H: -4.28212 0.57953 -0.09616  0.03
H: -4.99772 -0.08927 1.14117  0.07
C: 5.19869 -0.81087 5.41925  -0.07
C: 4.20666 -0.10860 6.37055  -0.41
C: 4.90754 0.82959 7.31041  -0.21
O: 5.28653 1.99694 6.61147  -0.19
C: 6.63120 2.34552 6.78087  -0.12
N: 3.15732 0.59088 5.59749  0.05
H: 5.67464 -0.15153 4.68931  0.08
H: 4.65368 -1.51864 4.77489  0.06
H: 5.88645 -1.46593 5.95868  0.08
H: 3.73908 -0.98409 6.83278  0.13
H: 5.80996 0.33605 7.68917  0.12
H: 4.28244 1.06666 8.17878  0.13
H: 6.87508 2.58235 7.82752  0.09
H: 6.88025 3.27382 6.26347  0.09
H: 7.29454 1.56076 6.40186  0.09
H: 3.47845 1.53923 5.41742  0.08
H: 3.11712 0.17934 4.66840  0.04
C: -0.16807 2.61368 5.80411  -0.06
C: 0.66718 2.54333 7.09300  -0.42
C: 0.00227 3.27239 8.23934  -0.21
O: -0.23665 4.64299 7.96097  -0.18
C: -1.58709 5.02854 7.83485  -0.12
N: 0.81453 1.11862 7.50025  0.03
H: 0.29396 2.03171 5.00678  0.06
H: -0.33257 3.64528 5.48824  0.07
H: -1.13182 2.13860 6.03199  0.07
H: 1.65998 2.91762 6.82653  0.13
H: 0.57370 3.16137 9.16171  0.12
H: -0.95397 2.74901 8.38978  0.12
H: -1.85391 5.10566 6.77720  0.08
H: -1.70934 6.00415 8.30876  0.08
H: -2.25975 4.33788 8.35006  0.08
H: -0.02555 0.66946 7.14318  0.04
H: 1.57619 0.76002 6.91667  0.02
C: 1.01489 1.75035 -5.98907  -0.06
C: 0.85661 3.22227 -6.34567  -0.40
C: 0.65321 3.36499 -7.85778  -0.21
O: 0.92299 4.71929 -8.17696  -0.20
C: 1.00865 4.99634 -9.56384  -0.10
N: -0.28206 3.78564 -5.60341  0.04
H: 0.52048 1.00562 -6.60837  0.08
H: 0.74455 1.56740 -4.94180  0.06
H: 2.08493 1.51655 -5.92193  0.08
H: 1.73662 3.81480 -6.09377  0.14
H: -0.39762 3.18492 -8.11986  0.12
H: 1.32390 2.68665 -8.39958  0.12
H: 0.05759 5.38948 -9.93067  0.09
>>>
** swap bf hash order
** store rows natively
* mb (3.0.7, 3.7): commit log lower bound included
* mc (3.0.8, 3.9): commit log intervals included
=== Example Code
The following example is useful for finding all sstables that do not
match the "ib" SSTable version